== Contents ==
~~~
This record from the OMol25 dataset describes a 2-piece molecular cluster, C4H13N2O overall. The level of theory is ωB97M-V/def2-TZVPD.

Each line ends with the natural charge from an NBO analysis.
Geometry (Å):
C: 1.03796 -1.85227 -0.45690  -0.423
N: 2.15985 1.32005 -1.94470  -0.699
C: 1.39727 0.28502 -1.65305  0.381
N: 1.83451 -0.72443 -0.94544  -0.491
H: 1.67658 -2.72927 -0.45040  0.266
H: 0.20430 -2.03143 -1.13266  0.232
H: 0.68915 -1.67032 0.55789  0.205
H: 3.07942 1.45823 -1.54528  0.434
H: 1.69497 2.16209 -2.25637  0.441
H: 0.42695 0.21371 -2.13147  0.228
H: 2.78649 -0.64440 -0.60501  0.428
C: -1.57516 0.81003 0.87283  -0.112
O: -0.46239 1.17124 1.57488  -0.257
C: -2.54945 -0.07257 1.63032  -0.656
H: -2.11464 1.77946 0.61917  0.395
H: -1.23433 0.37783 -0.07603  0.259
H: -0.64801 1.10104 2.54267  0.537
H: -2.70321 0.20736 2.67774  0.266
H: -3.51376 -0.05745 1.12329  0.287
H: -2.18651 -1.10392 1.59850  0.280

Output
E_LUMO (alpha / beta), eV: -7.07 / -13.48
Spin multiplicity: 2
E_HOMO (alpha / beta), hartree: -0.683 / -0.683
F_max, eV/Å: 1.4
Orbital gap (alpha / beta), eV: 11.5 / 5.1
Energy relative to the best compared isomer or geometry (same formula, charge and spin), kJ/mol: 231.7
Net charge: +2
DFT total energy, Ha: -344.21622

* * * * *

ORCA calculation (ωB97M-V/def2-TZVPD) on the molecule C4H9NO2.

Computed properties:
- SMILES string = CCCOC(N)=O
- HOMO energy (eV) = -10.39
- ΔE to the lowest compared entry with this formula, charge and spin (kcal per mole) = 4.1

The geometry in ORCA input format:
```
! RIJCOSX wB97M-V def2-TZVPD def2/J DEFGRID3
* xyz 0 1
C -2.02 -0.27 -0.66
C -1.42 0.91 0.11
C -0.18 0.53 0.89
O 0.92 0.37 -0.03
C 1.76 -0.66 0.21
N 2.79 -0.63 -0.69
O 1.62 -1.51 1.06
H -2.39 -1.04 0.03
H -2.86 0.05 -1.28
H -1.27 -0.73 -1.31
H -1.17 1.73 -0.58
H -2.16 1.31 0.82
H 0.10 1.31 1.60
H -0.31 -0.41 1.43
H 3.58 -1.21 -0.44
H 2.99 0.25 -1.14
*
```

ORCA calculation (ωB97M-V/def2-TZVPD) on the ion C5H10NO with charge +1 in a non-equilibrium geometry.

Computed properties:
- SMILES string = O=C[C@@H]1CCC[NH2+]1
- HOMO energy (eV) = -14.53
- ΔE to the lowest compared entry with this formula, charge and spin (kcal per mole) = 73.9

The geometry in ORCA input format:
```
! RIJCOSX wB97M-V def2-TZVPD def2/J DEFGRID3
* xyz 1 1
O -1.25 0.21 1.89
C -1.10 1.00 0.99
C -0.31 0.81 -0.39
C -0.80 -0.52 -1.10
C 0.48 -1.36 -1.07
C 1.40 -0.81 -0.08
N 1.17 0.73 -0.05
H -1.17 2.07 1.19
H -0.48 1.60 -1.22
H -1.69 -1.04 -0.42
H -1.23 -0.53 -2.13
H 0.38 -2.50 -0.79
H 0.93 -1.25 -2.04
H 2.61 -1.09 -0.20
H 1.09 -1.19 0.95
H 1.65 1.22 -0.98
H 1.71 1.15 0.73
*
```

ORCA calculation (ωB97M-V/def2-TZVPD) on a cluster of 2 separate species, C5H10O in total.

Computed properties:
- HOMO energy (eV) = -6.87
- ΔE to the lowest compared entry with this formula, charge and spin (kcal per mole) = 127.7

The geometry in ORCA input format:
```
! RIJCOSX wB97M-V def2-TZVPD def2/J DEFGRID3
* xyz 0 1
C 1.99 -0.32 -0.09
C 0.24 0.78 0.16
C -0.65 0.62 -0.95
C -1.72 -0.36 -0.54
O -1.25 -0.92 0.69
C -0.41 0.03 1.30
H 2.57 -0.10 -0.99
H 2.51 0.08 0.79
H 1.82 -1.40 0.03
H 0.80 1.69 0.35
H -0.72 1.33 -1.76
H 0.68 0.01 -0.76
H -1.88 -1.20 -1.23
H -2.70 0.13 -0.39
H -0.99 0.78 1.88
H 0.27 -0.50 1.97
*
```

ORCA calculation (ωB97M-V/def2-TZVPD) on a structure of composition C3HLiO4Pt in a non-equilibrium geometry.

Computed properties:
- HOMO energy (alpha / beta) (eV) = -11.78 / -11.61
- expectation value of S² = 3.8346
- ΔE to the lowest compared entry with this formula, charge and spin (kcal per mole) = 7.7

The geometry in ORCA input format:
```
! RIJCOSX wB97M-V def2-TZVPD def2/J DEFGRID3
* xyz 1 4
O 2.53 -0.22 0.07
C 1.35 -0.05 0.07
O 0.53 0.85 0.18
Pt 4.14 0.54 0.09
O 0.03 -1.66 -0.18
C -1.20 -1.05 -0.18
C -1.40 0.19 0.02
O -2.10 1.23 -0.09
Li -3.01 2.60 0.51
H -0.87 -2.41 -0.49
*
```

ORCA calculation (ωB97M-V/def2-TZVPD) on a cluster of 2 separate species, C2H6N2S2 in total.

Computed properties:
- SMILES string = C=NS.NC=S
~~~

== Assignment ==
Quote the whole of the block further above unchanged.

== Done ==
This record from the OMol25 dataset describes a 2-piece molecular cluster, C4H13N2O overall. The level of theory is ωB97M-V/def2-TZVPD.

Each line ends with the natural charge from an NBO analysis.
Geometry (Å):
C: 1.03796 -1.85227 -0.45690  -0.423
N: 2.15985 1.32005 -1.94470  -0.699
C: 1.39727 0.28502 -1.65305  0.381
N: 1.83451 -0.72443 -0.94544  -0.491
H: 1.67658 -2.72927 -0.45040  0.266
H: 0.20430 -2.03143 -1.13266  0.232
H: 0.68915 -1.67032 0.55789  0.205
H: 3.07942 1.45823 -1.54528  0.434
H: 1.69497 2.16209 -2.25637  0.441
H: 0.42695 0.21371 -2.13147  0.228
H: 2.78649 -0.64440 -0.60501  0.428
C: -1.57516 0.81003 0.87283  -0.112
O: -0.46239 1.17124 1.57488  -0.257
C: -2.54945 -0.07257 1.63032  -0.656
H: -2.11464 1.77946 0.61917  0.395
H: -1.23433 0.37783 -0.07603  0.259
H: -0.64801 1.10104 2.54267  0.537
H: -2.70321 0.20736 2.67774  0.266
H: -3.51376 -0.05745 1.12329  0.287
H: -2.18651 -1.10392 1.59850  0.280

Output
E_LUMO (alpha / beta), eV: -7.07 / -13.48
Spin multiplicity: 2
E_HOMO (alpha / beta), hartree: -0.683 / -0.683
F_max, eV/Å: 1.4
Orbital gap (alpha / beta), eV: 11.5 / 5.1
Energy relative to the best compared isomer or geometry (same formula, charge and spin), kJ/mol: 231.7
Net charge: +2
DFT total energy, Ha: -344.21622

* * * * *

ORCA calculation (ωB97M-V/def2-TZVPD) on the molecule C4H9NO2.

Computed properties:
- SMILES string = CCCOC(N)=O
- HOMO energy (eV) = -10.39
- ΔE to the lowest compared entry with this formula, charge and spin (kcal per mole) = 4.1

The geometry in ORCA input format:
```
! RIJCOSX wB97M-V def2-TZVPD def2/J DEFGRID3
* xyz 0 1
C -2.02 -0.27 -0.66
C -1.42 0.91 0.11
C -0.18 0.53 0.89
O 0.92 0.37 -0.03
C 1.76 -0.66 0.21
N 2.79 -0.63 -0.69
O 1.62 -1.51 1.06
H -2.39 -1.04 0.03
H -2.86 0.05 -1.28
H -1.27 -0.73 -1.31
H -1.17 1.73 -0.58
H -2.16 1.31 0.82
H 0.10 1.31 1.60
H -0.31 -0.41 1.43
H 3.58 -1.21 -0.44
H 2.99 0.25 -1.14
*
```

ORCA calculation (ωB97M-V/def2-TZVPD) on the ion C5H10NO with charge +1 in a non-equilibrium geometry.

Computed properties:
- SMILES string = O=C[C@@H]1CCC[NH2+]1
- HOMO energy (eV) = -14.53
- ΔE to the lowest compared entry with this formula, charge and spin (kcal per mole) = 73.9

The geometry in ORCA input format:
```
! RIJCOSX wB97M-V def2-TZVPD def2/J DEFGRID3
* xyz 1 1
O -1.25 0.21 1.89
C -1.10 1.00 0.99
C -0.31 0.81 -0.39
C -0.80 -0.52 -1.10
C 0.48 -1.36 -1.07
C 1.40 -0.81 -0.08
N 1.17 0.73 -0.05
H -1.17 2.07 1.19
H -0.48 1.60 -1.22
H -1.69 -1.04 -0.42
H -1.23 -0.53 -2.13
H 0.38 -2.50 -0.79
H 0.93 -1.25 -2.04
H 2.61 -1.09 -0.20
H 1.09 -1.19 0.95
H 1.65 1.22 -0.98
H 1.71 1.15 0.73
*
```

ORCA calculation (ωB97M-V/def2-TZVPD) on a cluster of 2 separate species, C5H10O in total.

Computed properties:
- HOMO energy (eV) = -6.87
- ΔE to the lowest compared entry with this formula, charge and spin (kcal per mole) = 127.7

The geometry in ORCA input format:
```
! RIJCOSX wB97M-V def2-TZVPD def2/J DEFGRID3
* xyz 0 1
C 1.99 -0.32 -0.09
C 0.24 0.78 0.16
C -0.65 0.62 -0.95
C -1.72 -0.36 -0.54
O -1.25 -0.92 0.69
C -0.41 0.03 1.30
H 2.57 -0.10 -0.99
H 2.51 0.08 0.79
H 1.82 -1.40 0.03
H 0.80 1.69 0.35
H -0.72 1.33 -1.76
H 0.68 0.01 -0.76
H -1.88 -1.20 -1.23
H -2.70 0.13 -0.39
H -0.99 0.78 1.88
H 0.27 -0.50 1.97
*
```

ORCA calculation (ωB97M-V/def2-TZVPD) on a structure of composition C3HLiO4Pt in a non-equilibrium geometry.

Computed properties:
- HOMO energy (alpha / beta) (eV) = -11.78 / -11.61
- expectation value of S² = 3.8346
- ΔE to the lowest compared entry with this formula, charge and spin (kcal per mole) = 7.7

The geometry in ORCA input format:
```
! RIJCOSX wB97M-V def2-TZVPD def2/J DEFGRID3
* xyz 1 4
O 2.53 -0.22 0.07
C 1.35 -0.05 0.07
O 0.53 0.85 0.18
Pt 4.14 0.54 0.09
O 0.03 -1.66 -0.18
C -1.20 -1.05 -0.18
C -1.40 0.19 0.02
O -2.10 1.23 -0.09
Li -3.01 2.60 0.51
H -0.87 -2.41 -0.49
*
```

ORCA calculation (ωB97M-V/def2-TZVPD) on a cluster of 2 separate species, C2H6N2S2 in total.

Computed properties:
- SMILES string = C=NS.NC=S